# Contents
********
# 1
A geometry-optimized Ba2NaNi3O6 structure. Source: the Materials Project, functional PBE+U.

Lattice parameters (Å, degrees): 9.3241 8.4478 7.0340 73.42 60.27 46.31
Fractional positions:
Ba: 0.2500 0.2500 0.2500
Ba: 0.7500 0.7500 0.7500
Ba: 0.7651 0.2349 0.7651
Ba: 0.2349 0.7651 0.2349
Na: 0.3360 0.3360 0.6640
Na: 0.6640 0.6640 0.3360
Ni: 0.2878 0.0022 0.7122
Ni: 0.9978 0.7122 0.0022
Ni: 0.0022 0.2878 0.9978
Ni: 0.7122 0.9978 0.2878
Ni: 0.7006 0.2994 0.2994
Ni: 0.2994 0.7006 0.7006
O: 0.7013 0.4875 0.0780
O: 0.7332 0.0780 0.4875
O: 0.0780 0.7332 0.7013
O: 0.4875 0.7013 0.7332
O: 0.2987 0.5125 0.9220
O: 0.2668 0.9220 0.5125
O: 0.3049 0.0815 0.9185
O: 0.5125 0.2987 0.2668
O: 0.0815 0.3049 0.6951
O: 0.9185 0.6951 0.3049
O: 0.6951 0.9185 0.0815
O: 0.9220 0.2668 0.2987

Values from the calculation:
* symmetry: Fmmm



# 2
A geometry-optimized BaNaPrWO6 structure. Source: the Materials Project, functional PBE+U.

Lattice parameters (Å, degrees): 6.0933 6.0933 6.0933 60.00 60.00 60.00
Fractional positions:
Ba: 0.7500 0.7500 0.7500
Na: 0.2500 0.2500 0.2500
Pr: 0.0000 0.0000 0.0000
W: 0.5000 0.5000 0.5000
O: 0.7270 0.2730 0.2730
O: 0.2730 0.7270 0.7270
O: 0.7270 0.2730 0.7270
O: 0.2730 0.7270 0.2730
O: 0.7270 0.7270 0.2730
O: 0.2730 0.2730 0.7270

Values from the calculation:
* distance to the lowest polymorph of the same formula: 0.017 eV per atom
* symmetry: F-43m



# 3
A geometry-optimized BaNaPrWO6 structure. Source: the Materials Project, functional PBE+U.

Lattice parameters (Å, degrees): 5.8417 5.8417 5.8417 60.00 60.00 60.00
Fractional positions:
Ba: 0.2500 0.2500 0.2500
Na: 0.0000 0.0000 0.0000
Pr: 0.7500 0.7500 0.7500
W: 0.5000 0.5000 0.5000
O: 0.7349 0.2651 0.2651
O: 0.2651 0.7349 0.7349
O: 0.7349 0.2651 0.7349
O: 0.2651 0.7349 0.2651
O: 0.7349 0.7349 0.2651
O: 0.2651 0.2651 0.7349

Values from the calculation:
* distance to the lowest polymorph of the same formula: 0.115 eV per atom
* symmetry: F-43m



# 4
A geometry-optimized BaNaPrWO6 structure. Source: the Materials Project, functional PBE+U.

Lattice parameters (Å, degrees): 8.5688 8.5247 8.5372 90.00 90.00 90.00
Fractional positions:
Ba: 0.0000 0.0000 0.0000
Ba: 0.5000 0.5000 0.5000
Ba: 0.0000 0.5000 0.5000
Ba: 0.5000 0.0000 0.0000
Na: 0.5000 0.0000 0.5000
Na: 0.5000 0.5000 0.0000
Na: 0.0000 0.5000 0.0000
Na: 0.0000 0.0000 0.5000
Pr: 0.7500 0.7500 0.7500
Pr: 0.2500 0.2500 0.7500
Pr: 0.2500 0.7500 0.2500
Pr: 0.7500 0.2500 0.2500
W: 0.2500 0.2500 0.2500
W: 0.7500 0.7500 0.2500
W: 0.7500 0.2500 0.7500
W: 0.2500 0.7500 0.7500
O: 0.0250 0.2197 0.2878
O: 0.9750 0.7803 0.2878
O: 0.9750 0.2197 0.7122
O: 0.0250 0.7803 0.7122
O: 0.2717 0.0235 0.2149
O: 0.2717 0.9765 0.7851
O: 0.7283 0.9765 0.2149
O: 0.7283 0.0235 0.7851
O: 0.2078 0.2732 0.0251
O: 0.7922 0.2732 0.9749
O: 0.2078 0.7268 0.9749
O: 0.7922 0.7268 0.0251
O: 0.4750 0.2803 0.2122
O: 0.5250 0.7197 0.2122
O: 0.5250 0.2803 0.7878
O: 0.4750 0.7197 0.7878
O: 0.2283 0.4765 0.2851
O: 0.2283 0.5235 0.7149
O: 0.7717 0.5235 0.2851
O: 0.7717 0.4765 0.7149
O: 0.2922 0.2268 0.4749
O: 0.7078 0.2268 0.5251
O: 0.2922 0.7732 0.5251
O: 0.7078 0.7732 0.4749

Values from the calculation:
* distance to the lowest polymorph of the same formula: 0.000 eV per atom
* symmetry: Pnnn



# 5
A geometry-optimized Ba6Na2V2Sb2O17 structure. Source: the Materials Project, functional PBE+U.

Lattice parameters (Å, degrees): 6.0079 6.0079 30.4496 90.00 90.00 120.00
Fractional positions:
Ba: 0.3333 0.6667 0.1778
Ba: 0.6667 0.3333 0.8222
Ba: 0.6667 0.3333 0.6778
Ba: 0.3333 0.6667 0.3222
Ba: 0.0000 0.0000 0.0000
Ba: 0.0000 0.0000 0.5000
Ba: 0.3333 0.6667 0.5913
Ba: 0.6667 0.3333 0.4087
Ba: 0.6667 0.3333 0.0913
Ba: 0.3333 0.6667 0.9087
Ba: 0.0000 0.0000 0.2500
Ba: 0.0000 0.0000 0.7500
Na: 0.0000 0.0000 0.1246
Na: 0.0000 0.0000 0.8754
Na: 0.0000 0.0000 0.6246
Na: 0.0000 0.0000 0.3754
V: 0.3333 0.6667 0.0522
V: 0.6667 0.3333 0.9478
V: 0.6667 0.3333 0.5522
V: 0.3333 0.6667 0.4478
Sb: 0.3333 0.6667 0.7024
Sb: 0.6667 0.3333 0.2976
Sb: 0.6667 0.3333 0.2024
********

# Exercise
Copy the lines above from the one with "formula: 0.115" to the one with "0.3333 0.2976" word for word.

# Completed
* distance to the lowest polymorph of the same formula: 0.115 eV per atom
* symmetry: F-43m



# 4
A geometry-optimized BaNaPrWO6 structure. Source: the Materials Project, functional PBE+U.

Lattice parameters (Å, degrees): 8.5688 8.5247 8.5372 90.00 90.00 90.00
Fractional positions:
Ba: 0.0000 0.0000 0.0000
Ba: 0.5000 0.5000 0.5000
Ba: 0.0000 0.5000 0.5000
Ba: 0.5000 0.0000 0.0000
Na: 0.5000 0.0000 0.5000
Na: 0.5000 0.5000 0.0000
Na: 0.0000 0.5000 0.0000
Na: 0.0000 0.0000 0.5000
Pr: 0.7500 0.7500 0.7500
Pr: 0.2500 0.2500 0.7500
Pr: 0.2500 0.7500 0.2500
Pr: 0.7500 0.2500 0.2500
W: 0.2500 0.2500 0.2500
W: 0.7500 0.7500 0.2500
W: 0.7500 0.2500 0.7500
W: 0.2500 0.7500 0.7500
O: 0.0250 0.2197 0.2878
O: 0.9750 0.7803 0.2878
O: 0.9750 0.2197 0.7122
O: 0.0250 0.7803 0.7122
O: 0.2717 0.0235 0.2149
O: 0.2717 0.9765 0.7851
O: 0.7283 0.9765 0.2149
O: 0.7283 0.0235 0.7851
O: 0.2078 0.2732 0.0251
O: 0.7922 0.2732 0.9749
O: 0.2078 0.7268 0.9749
O: 0.7922 0.7268 0.0251
O: 0.4750 0.2803 0.2122
O: 0.5250 0.7197 0.2122
O: 0.5250 0.2803 0.7878
O: 0.4750 0.7197 0.7878
O: 0.2283 0.4765 0.2851
O: 0.2283 0.5235 0.7149
O: 0.7717 0.5235 0.2851
O: 0.7717 0.4765 0.7149
O: 0.2922 0.2268 0.4749
O: 0.7078 0.2268 0.5251
O: 0.2922 0.7732 0.5251
O: 0.7078 0.7732 0.4749

Values from the calculation:
* distance to the lowest polymorph of the same formula: 0.000 eV per atom
* symmetry: Pnnn



# 5
A geometry-optimized Ba6Na2V2Sb2O17 structure. Source: the Materials Project, functional PBE+U.

Lattice parameters (Å, degrees): 6.0079 6.0079 30.4496 90.00 90.00 120.00
Fractional positions:
Ba: 0.3333 0.6667 0.1778
Ba: 0.6667 0.3333 0.8222
Ba: 0.6667 0.3333 0.6778
Ba: 0.3333 0.6667 0.3222
Ba: 0.0000 0.0000 0.0000
Ba: 0.0000 0.0000 0.5000
Ba: 0.3333 0.6667 0.5913
Ba: 0.6667 0.3333 0.4087
Ba: 0.6667 0.3333 0.0913
Ba: 0.3333 0.6667 0.9087
Ba: 0.0000 0.0000 0.2500
Ba: 0.0000 0.0000 0.7500
Na: 0.0000 0.0000 0.1246
Na: 0.0000 0.0000 0.8754
Na: 0.0000 0.0000 0.6246
Na: 0.0000 0.0000 0.3754
V: 0.3333 0.6667 0.0522
V: 0.6667 0.3333 0.9478
V: 0.6667 0.3333 0.5522
V: 0.3333 0.6667 0.4478
Sb: 0.3333 0.6667 0.7024
Sb: 0.6667 0.3333 0.2976